
Friday, November 5, 2010

National covergirl

Hello dear readers!
For those who were asking and don't understand how National covergirl works, stardoll sent us a message explaining! Well, the girl of each country who receive more votes, is crowned the winner of national covergirl. The most voted of the winnersofthis countries, is crowned the covergirl. It is simple, if you want to be NC, be sure that u have more votes than any other girl of your country!


  1. I got the message, too! I think it's a great idea and it's easier to win NCG than CG.

  2. seen it,
    now i'm getting floods of msgs of people telling me to vote for them ;//

  3. Great Idea. I really want to be the German National Covergirl :)

  4. I've seen it. But literally EVERYONE I know on stardoll is running for it. It's annoying getting messages on chat all the time saying 'Vote me *insert country* NCG.' ;3 I hope the hype dies down soon. ;D♥

  5. I got the dollmail.
    I like the idea ;D It can be a bit too complicated though. But it gives more people a fair chance. They had something like this before, right?

  6. I'm the National Covergirl Morroco for 03/11/2010, woooow i feel soooo happy!! good luck girls!!

  7. I like this, now more girls will be able to get the 'covergirl' title [:

The following is a quantum chemistry calculation of C6H12N2 in the gas phase, from the Open Molecules 2025 dataset.

Each line ends with the Mulliken charge.
Element x y z (Å)
C 1.114 -1.731 -1.444  -1.61
C 0.130 -0.853 -0.780  0.43
C -1.159 -0.959 -0.866  -0.21
C -1.797 0.111 0.004  -0.60
N -0.721 0.800 0.621  0.03
C -0.819 2.223 0.383  -0.87
N 0.535 0.166 0.227  -0.16
C 1.295 -0.222 1.490  -0.77
H 0.776 -2.054 -2.427  0.39
H 1.301 -2.598 -0.938  0.36
H 2.097 -1.301 -1.573  0.39
H -1.799 -1.614 -1.590  0.27
H -2.550 0.631 -0.586  0.36
H -2.277 -0.336 0.835  0.27
H 0.088 2.661 0.770  0.29
H -0.739 2.574 -0.710  0.30
H -1.819 2.673 0.677  0.32
H 0.639 -0.470 2.337  0.31
H 2.052 -1.107 1.341  0.28
H 1.972 0.710 1.787  0.21

Computed properties:
E_HOMO ... -7.5 eV
Kohn-Sham gap ... 8.587 eV
LUMO level ... 0.040 Eh
Net charge ... 0
Molecular weight ... 112.2 Da
SMILES ... CC1=CCN(C)N1C

~~~~~

1.
Entry from the OMol25 dataset: a cluster of 2 separate species, C5H13NO in total at a distorted geometry (ωB97M-V with the def2-TZVPD basis set).

As for the frontier orbital gap: 10.481 eV. The value obtained for the relative energy (zero: lowest compared OMol25 entry of this formula, charge and spin) is 57.3 kJ/mol. For the calculated total energy, the calculation gives -328.29702 a.u. The HOMO energy is -9.7 eV.

Geometry as ORCA input:
```
! RIJCOSX wB97M-V def2-TZVPD def2/J DEFGRID3
* xyz 0 1
C -0.7967 -1.1428 -1.9097
C -0.2429 -0.1440 -2.9193
H -1.6907 -1.6664 -2.2771
H -0.2262 -2.0570 -1.7293
H -1.0833 -0.6089 -1.0128
H 0.7843 0.1114 -2.6522
H -0.9082 0.7037 -3.0516
H -0.1629 -0.5485 -3.9341
C -0.2977 0.7231 1.1190
C 0.4536 1.8735 1.8487
C 0.0120 -0.5047 1.9168
O -0.6630 -0.8433 2.8780
N 1.1046 -1.2071 1.5428
H -1.3483 0.9888 1.1202
H 0.1937 0.7039 0.1453
H 0.0055 1.9413 2.8450
H 1.3877 -1.9318 2.1684
H 1.7362 -1.0597 0.7727
H 0.2172 2.8691 1.4563
H 1.5254 1.7993 1.6730
*
```

2.
Entry from the OMol25 dataset: a cluster of 2 separate species, C5H13NO in total at a distorted geometry (ωB97M-V with the def2-TZVPD basis set).

As for the frontier orbital gap: 9.480 eV. The value obtained for the relative energy (zero: lowest compared OMol25 entry of this formula, charge and spin) is 126.8 kJ/mol. For the calculated total energy, the calculation gives -328.27053 a.u. The HOMO energy is -8.5 eV.

Geometry as ORCA input:
```
! RIJCOSX wB97M-V def2-TZVPD def2/J DEFGRID3
* xyz 0 1
C -0.9958 -0.7419 0.0216
N 0.0843 0.2277 -0.3098
C 1.0529 -0.2493 -1.2422
C 0.6988 0.7026 0.9458
C -0.2576 0.1835 2.0072
C -0.5462 -1.1932 1.4125
H -1.0185 -1.4441 -0.8085
H -1.9584 -0.2458 0.1562
H 0.6215 -0.7639 -2.1003
H 1.7890 -0.9587 -0.8171
H 1.6831 0.5704 -1.5952
H 0.9667 1.7569 0.9278
H 1.6863 0.2248 0.9928
H -1.1492 0.8111 2.0467
H 0.1704 0.1821 3.0038
H 0.3809 -1.7713 1.4043
H -1.2081 -1.8699 1.9602
H -0.4924 1.0846 -2.0361
H -0.8176 1.5909 -3.4373
O -0.6902 1.9037 -2.5324
*
```

3.

  8. Gratz Sohasal!
    I saw you won for Morocco I was very happy for you :)
    Btw, thx for explaining. Haven'T got mail yet so still wasnt sure how it was done. Ppl in the beginning where saying it was thro activity points, which I thought was kinda of a strange way to account a competition winner...

_Misplaced records of molecules_
<<<
Entry 1:
{
  "formula": "C5H16BNO5P",
  "method": "ωB97M-V/def2-TZVPD",
  "total_charge": -1,
  "e_tot_ha": -997.33647,
  "e_lumo_ev": 3.019,
  "symbols": ["O", "B", "O", "C", "C", "O", "P", "O", "H", "H", "H", "H", "H", "H", "H", "H", "H", "C", "O", "N", "C", "C", "H", "H", "H", "H", "H", "H", "H"],
  "xyz": [[-1.7272, 3.2687, 0.5771], [-0.8654, 2.3761, 1.2117], [-1.4492, 1.5591, 2.1946], [0.6842, 2.1535, 0.9011], [1.4292, 3.1667, -0.0187], [2.4648, 2.4679, -0.6668], [1.7493, 0.9732, -1.2402], [0.6283, 0.9341, 0.1569], [-1.2233, 3.9899, 0.2232], [-0.8248, 0.8708, 2.3640], [1.2190, 2.0459, 1.8660], [1.9311, 4.0179, 0.4532], [0.6532, 3.5865, -0.6831], [2.7295, 0.9633, -2.3030], [2.5788, 0.1181, -0.3977], [0.9760, -0.1337, -1.7375], [0.8773, 1.8413, -2.0405], [0.3581, -2.1694, -0.1215], [1.1575, -2.3285, -1.0115], [-0.8574, -2.7786, -0.0624], [-1.7752, -2.5499, 1.0310], [-1.2387, -3.6770, -1.1326], [0.5543, -1.5030, 0.7289], [-1.9873, -3.4953, 1.5404], [-2.7092, -2.1300, 0.6493], [-1.3447, -1.8521, 1.7456], [-0.5188, -4.4957, -1.2010], [-1.2373, -3.1393, -2.0825], [-2.2321, -4.0806, -0.9443]],
  "nbo_charge": [-0.90, 1.11, -0.90, -0.28, -0.09, -0.82, 0.98, -0.85, 0.48, 0.48, 0.15, 0.17, 0.13, -0.16, -0.17, -0.14, -0.20, 0.54, -0.61, -0.45, -0.39, -0.41, 0.13, 0.17, 0.19, 0.21, 0.20, 0.21, 0.19]
}

Entry 2:
{
  "formula": "C5H16IN2O3",
  "method": "ωB97M-V/def2-TZVPD",
  "total_charge": -1,
  "e_tot_ha": -833.17944,
  "e_lumo_ev": 3.252,
  "de_lowest_ev": 0.000,
  "symbols": ["I", "C", "C", "O", "H", "H", "H", "H", "H", "H", "C", "C", "O", "H", "H", "H", "H", "H", "H", "C", "O", "N", "N", "H", "H", "H", "H"],
  "xyz": [[-0.5239, 0.7971, 0.2419], [-0.7599, -4.5577, -0.3153], [-0.9338, -3.0652, -0.0612], [-1.0941, -2.3891, -1.2849], [-0.8306, -5.1132, 0.6215], [0.1594, -4.7685, -0.8599], [-1.6001, -4.9063, -0.9259], [-0.1050, -2.6828, 0.5439], [-1.8166, -2.9339, 0.5871], [-0.6972, -1.5079, -1.1944], [5.1317, 0.9338, 0.4709], [3.6715, 0.7436, 0.7827], [2.9304, 1.7201, 0.0873], [5.3867, 0.8487, -0.5851], [5.7745, 0.2170, 1.0011], [5.4866, 1.9066, 0.8298], [3.5418, 0.8287, 1.8688], [3.3338, -0.2500, 0.4665], [2.0332, 1.3704, -0.0444], [-3.9994, 3.2143, -0.3279], [-4.8469, 4.0980, -0.4473], [-2.9876, 3.0599, -1.2431], [-4.0026, 2.3100, 0.7062], [-2.2243, 2.4229, -1.0699], [-3.0667, 3.7223, -1.9887], [-3.2049, 1.6934, 0.7791], [-4.7559, 2.2876, 1.3613]],
  "nbo_charge": [-0.91, -0.62, -0.06, -0.75, 0.19, 0.20, 0.20, 0.17, 0.15, 0.50, -0.62, -0.06, -0.75, 0.20, 0.19, 0.20, 0.15, 0.16, 0.50, 0.78, -0.71, -0.87, -0.86, 0.43, 0.40, 0.42, 0.39]
}

Entry 3:
{
  "formula": "C5H16N2",
  "method": "ωB97M-V/def2-TZVPD",
  "total_charge": 0,
  "e_tot_ha": -309.50170,
  "e_lumo_ev": 1.077,
  "de_lowest_ev": 2.928,
  "symbols": ["C", "C", "C", "N", "H", "H", "H", "H", "H", "H", "H", "H", "H", "C", "C", "N", "H", "H", "H", "H", "H", "H", "H"],
>>>

  9. i got the message :D
    it's a a great idea. nw we can win covergirl easily!

  10. Yes, I've been national covergirl. I was national covergirl on 03.11.2010 on behalf of the Turkey. A very nice thing.
    Step: Aisley.Emily

  11. I also got the message lol. xD

  12. The thing I don't understand is, do people from YOUR country only get to vote you for CG, or maybe everyone can vote you?


  13. i got tht too!! lol, its kind of a good idea for those who never get a chance

  14. To JENNA,
    Sorry, I'm not leaving my name because, I will admit it, I'm scared. When I say what I have to say, I know everyone'll be jumping down my throats, and I don't think I can handle that. I know you might think me a coward for that, but I guess you just don't know what kind of emotional stress I've recently gone through in life.

-- What comes next are molecular data, not part of the text --
- - -
20
Properties=species:S:1:pos:R:3 method="wB97M-V/def2-TZVPD" total_charge=0 de_lowest_kcal_mol=123.33 homo_lumo_gap_ev=8.523 mol_weight_g_mol=86.178 homo_ha=-0.272 lumo_ev=1.12 e_tot_ha=-236.81487
C -1.935 -0.736 1.280
C -0.784 -1.149 0.333
C 0.268 -0.083 0.119
C 0.424 0.489 -1.117
C 0.917 1.822 -1.451
C 2.209 0.933 -1.646
H -2.668 -1.541 1.336
H -1.442 -0.354 2.144
H -2.443 0.196 1.013
H -1.203 -1.413 -0.660
H -0.403 -2.085 0.766
H -1.846 -0.994 3.618
H 1.050 -0.110 0.877
H 0.031 0.036 -2.027
H 1.064 2.427 -0.536
H -1.783 -1.730 3.418
H 0.483 2.103 -2.391
H 2.813 0.705 -0.753
H 2.252 -0.034 -2.130
H 2.994 1.516 -2.192

30
Properties=species:S:1:pos:R:3 method="wB97M-V/def2-TZVPD" total_charge=-1 de_lowest_kcal_mol=27.32 homo_lumo_gap_ev="2.703 / 6.511" mol_weight_g_mol=175.275 spin_multiplicity=2 homo_ha="0.027 / -0.113" lumo_ev="3.45 / 3.43" e_tot_ha=-522.12884
C -2.856 -1.286 2.844
C 0.468 -0.518 1.272
C -0.871 -1.050 1.150
C -1.471 -0.921 2.490
C -0.582 -0.245 3.359
C 0.903 -1.067 -1.034
C 1.324 -0.461 0.124
C -0.390 -1.663 -1.138
C -1.285 -1.546 -0.112
N 0.628 0.001 2.606
H 1.424 -1.104 -1.937
H 2.317 -0.003 0.142
H -0.640 -2.148 -2.046
H -2.245 -2.014 -0.245
H 1.353 0.615 2.771
H -0.496 -0.164 4.479
H -3.545 -0.989 2.061
H -3.192 -0.952 3.787
H -2.916 -2.381 2.820
C 0.972 2.253 -2.746
C 0.265 2.954 -3.899
C 2.426 1.887 -2.976
H 0.784 2.668 -1.834
H 0.442 1.255 -2.605
H -0.755 3.146 -3.716
H 2.810 2.768 -3.448
H 3.003 1.823 -2.021
H 2.725 1.012 -3.510
H 0.729 3.933 -4.104
H 0.385 2.505 -4.839

46
Properties=species:S:1:pos:R:3 method="wB97M-V/def2-TZVPD" total_charge=0 de_lowest_kcal_mol=29.57 homo_lumo_gap_ev="7.064 / 8.950" mol_weight_g_mol=624.165 spin_multiplicity=3 homo_ha="-0.246 / -0.316" lumo_ev="0.38 / 0.34" e_tot_ha=-3855.75578
H 0.782 -2.134 -1.035
N 0.938 -0.022 -1.340
B 1.514 2.307 -2.207
N 1.492 0.750 -2.333
C 1.985 -0.064 -3.291
Pt 0.021 0.868 0.367
H 2.466 0.363 -4.160
C 1.746 -1.375 -2.909
H 2.012 -2.260 -3.455
C 1.098 -1.322 -1.673
H 2.065 2.860 -3.112
C -1.156 1.286 2.054
H -0.874 0.312 2.479
H -2.204 1.345 1.744
H -1.019 1.971 2.909
N 2.189 2.541 -0.819
N 0.014 2.695 -2.041
N 1.701 1.896 0.298
N -0.731 2.102 -1.051
C 3.277 3.245 -0.453
C -0.791 3.528 -2.731
H 3.809 3.819 -1.194
H -0.395 4.085 -3.565
C 3.483 3.059 0.912
C -2.065 3.475 -2.164
C 2.489 2.201 1.360
C -1.997 2.567 -1.108
H 4.262 3.492 1.513
H -2.933 4.020 -2.473
H 2.262 1.795 2.338
H -2.741 2.230 -0.402
H -0.320 2.101 1.325
Br 1.168 -4.275 0.741
C -0.531 -4.262 1.577
C -0.991 -5.404 2.246
C -2.290 -5.432 2.774
C -3.137 -4.332 2.605
C -2.676 -3.191 1.948
C -1.358 -3.132 1.488
C -0.840 -1.832 0.935
O -1.526 -1.223 0.049
O 0.257 -1.390 1.430
H -0.335 -6.264 2.348
H -2.637 -6.319 3.303
H -4.160 -4.356 2.981
H -3.321 -2.324 1.792

17
Properties=species:S:1:pos:R:3 method="wB97M-V/def2-TZVPD" total_charge=0 de_lowest_kcal_mol=9.43 homo_lumo_gap_ev=10.015 mol_weight_g_mol=126.177 smiles="O=CCCS.O.O" homo_ha=-0.349 lumo_ev=0.52 e_tot_ha=-744.18692
O 1.595 0.748 2.213
- - -

    Your blog is...I dunno...falling behind or something. I don't know what way to describe it exactly, but your followers don't really comment if it's not got something in for them, and I can see around 10-20 followers who have stayed reading your blog and commenting over the past year or two.

    I know you're trying your best; please don't get me wrong. You've done an awesome job, and that's why this blog is here today. But I think that you need to pass it on now. Sarah and Filipa don't write much, nor does John. I think that your real life is getting in the way, because you've not posted in ages. You need someone who posts AND comments often to take over, like Ruth.

    Sorry for being Anonymous "/

  15. if you want free superstar you must register here and if you are from us you will get it wery soon becose there are all ways how to earn points. you will need just some minutes for your ss code...look!!you will see just register

  16. I think it's Awesome!!!

    I really wanna be German CG :)

  17. cool Idea xx

    Visit me .. IM CALLED mozza69
